
What are the differences between huskies and wolves? How much is the price per piece?

Published: 2024-09-19 Author: mysheen
Last Updated: 2024/09/19, Husky's scientific name is Siberian sled dog, nicknamed Erha, is a more common pet dog, its appearance is similar to a wolf, some people do not know that it is a wolf. So, what's the difference between huskies and wolves? How much is the price per piece? one

Husky's scientific name is Siberian sled dog, nicknamed Erha, is a more common pet dog, its appearance is similar to a wolf, some people do not know that it is a wolf. So, what's the difference between huskies and wolves? How much is the price per piece?

Inserted here: data records.
=====
1.
Density functional theory data (PBE) for AlNi5Ge after structural relaxation.

The structure in POSCAR format:
```
AlNi5Ge
1.0
-3.278 1.809 1.549
-2.175 -3.347 -0.692
1.276 -1.830 4.838
Al Ni Ge
1 5 1
Direct
0.500 0.500 0.000
0.000 0.500 0.754
0.000 0.500 0.246
0.500 0.000 0.754
0.500 0.000 0.246
0.500 0.500 0.500
0.000 0.000 0.500
```

Properties
Its total energy is -5.53 eV/atom. As for the spin magnetization: 0.00 Bohr magnetons per cell. Its density of states at the Fermi level is 4.09 states/eV/f.u. As for the formation energy: -0.20 eV per atom. The density is 7.46 Mg/m³. As for the symmetry: P4/mmm (123). For the polymorph energy (0 for the lowest one), the calculation gives 0 meV per atom.

---

2.
Density functional theory data (PBE) for CsRb2Br4 after structural relaxation.

The structure in POSCAR format:
```
CsRb2Br4
1.0
6.635 0.000 0.000
0.000 6.635 0.000
3.317 3.317 9.003
Cs Br Rb
1 4 2
Direct
0.000 0.000 0.000
0.799 0.799 0.402
0.201 0.201 0.598
0.000 0.500 0.000
0.500 0.000 0.000
0.616 0.616 0.767
0.384 0.384 0.233
```

Properties
Its total energy is -2.60 eV/atom. Its formation energy without anion corrections is -8.687 eV/f.u. As for the spin magnetization: 0.97 Bohr magnetons per cell. Its density of states at the Fermi level is 13.29 states/eV/f.u. The density is 2.61 Mg/m³. As for the symmetry: I4/mmm (139).

* * * * *

No. 1
ThPa2Ir3 (PBE, relaxed); D(E_F) = 0.5553 states/eV/atom; spin magnetization = 0.00 Bohr magnetons per cell; E = -9.7274 eV/atom; space-group type = Pnma (62)
1.0
12.1289 0.0000 0.0000
0.0000 5.7259 -0.0085
0.0000 0.0133 8.0863
Ir Pa Th
12 8 4
direct
0.0866 0.7499 0.8643
0.0889 0.7499 0.3856
0.9134 0.2501 0.1357
0.2472 0.2498 0.1258
0.7472 0.7502 0.3742
0.4134 0.7499 0.3643
0.7528 0.7502 0.8742
0.4111 0.7499 0.8856
0.5866 0.2501 0.6357
0.5889 0.2501 0.1144
0.2528 0.2498 0.6258
0.9111 0.2501 0.6144
0.4149 0.2499 0.8780
0.7532 0.2503 0.8746
0.2532 0.7497 0.6254
0.5851 0.7501 0.1220
0.7468 0.2503 0.3746
0.9149 0.7501 0.6220
0.2468 0.7497 0.1254
0.0851 0.2499 0.3780
0.9188 0.7501 0.1278
0.0812 0.2499 0.8722
0.4188 0.2499 0.3722
0.5812 0.7501 0.6278

No. 2
CaLa2I8 (PBE, relaxed); D(E_F) = 0.0000 states/eV/atom; spin magnetization = 0.00 Bohr magnetons per cell; ΔE_f (raw) = -1.461 eV/atom; E = -3.6664 eV/atom; space-group type = C2/c (15)
1.0
-1.0608 -4.1218 -9.8421
3.0938 -10.1748 -1.3723
-9.9563 -7.6268 -0.5668
La Ca I
4 2 16
direct
0.0078 0.4860 0.7120
0.9922 0.5140 0.2880
0.4860 0.0078 0.2120
0.5140 0.9922 0.7880
0.9862 0.0138 0.7500
0.0138 0.9862 0.2500
0.2138 0.9645 0.3970
0.3216 0.9238 0.6972
0.7862 0.0355 0.6030
0.0355 0.7862 0.1030
0.9591 0.3250 0.5577
0.6784 0.0762 0.3028
0.3201 0.3494 0.1740
0.0762 0.6784 0.8028
0.3250 0.9591 0.0577
0.0409 0.6750 0.4423
0.6506 0.6799 0.3260
0.9645 0.2138 0.8970
0.6750 0.0409 0.9423
0.3494 0.3201 0.6740
0.9238 0.3216 0.1972
0.6799 0.6506 0.8260

No. 3
=====

What are the differences between huskies and wolves?

Difference one, appearance: husky is a dog that is very close to the blood of a wolf, so it looks very like a wolf, but husky is a pet dog, it does not look wild, it is bigger and stronger than the wolf, and the whole looks clean; the wolf looks wild, the coat is very messy, the face is thin and long, and looks very cunning and treacherous. The simplest difference is the three white marks on Husky's forehead.

The second difference is the eyes: husky's eyes have double eyelids, usually blue and brown (brown), and the eyes are friendly and gentle and cute; the wolf's eyes are tilted upward at an angle of 45 degrees. The color is black, brown, yellow or amber, fierce and sharp.

Third, tail: husky's tail is like a brush, with a shape similar to that of a fox, which naturally hangs back like the shape of a brush and tilts up slightly when excited; the wolf's tail is mostly sandwiched.

Difference 4, diet: huskies have changed from carnivores to omnivores after long-term domestication by human beings, and the main food is dog food; wolves belong to carnivores, which mainly feed on deer, antelopes and rabbits, as well as insects and mice. It is a typical secondary predator in the food chain, usually acting in groups and preying on livestock such as sheep.

Distinction five, character: husky's typical character is friendly, gentle, alert, likes to communicate, will act like a coquettish person, likes to wag his tail, will not have too much suspicion to strangers, will not attack other dogs; Wolf is a very aggressive animal, always maintain a fighting state, very vigilant, generally will not do the action of sticking out the tongue or wagging tail.

Sixth, behavior: husky really sleeps when he is resting, and likes to sleep late, while wolves rest with dignity and vigilance; huskies really eat with peace of mind when they eat, and wolves have to keep watch when they eat to prevent the enemy from attacking.

How much is the price of husky?

There is no fixed standard for the price of huskies, which varies from region to region and level to level.

1. The price of husky varies from region to region: generally speaking, the price of husky is high in areas with a high level of economic development. For example, in Beijing, the price of husky is about 1500 yuan per animal. Guangzhou is between 1500 and 2000 yuan, Wuhan is about 1000 yuan, and Jinan is about 1000 to 2000 yuan.

2, different levels, the price of husky is different: generally speaking, the pedigree and appearance of family pet husky are general, and the price varies from 500 yuan to 1500 yuan per dog; the appearance and pedigree of husky in kennel are better, and the price is between 1000 yuan and 2000 yuan per puppy, especially good-looking puppies may be sold for 3000 yuan. Competition-grade huskies are strictly regulated in both lineage and appearance, with a price of 3000 yuan per start, a slightly better appearance of 4000-6000 yuan per piece, and a better appearance of more than 6000 yuan.

The above is the difference between husky and wolf and the price introduction of husky. I hope it will be useful to you.